Wanted =
Could you duplicate the whole of the block further down character by character?

Contents =
+++
The following is a DFT calculation (wB97M-V/def2-TZVPD) of a 3-piece molecular cluster, C23H46F4I2N7O4P2 overall.

Geometry as ORCA input:
```
! wB97M-V def2-TZVPD RIJCOSX def2/J DEFGRID3
* xyz 1 1
C -2.205 4.079 4.904
C -2.022 3.284 3.606
I -3.872 2.169 3.340
C -0.793 2.270 3.658
I -1.250 0.210 3.235
C 0.446 2.748 2.914
C 1.522 3.299 3.654
C 1.486 3.477 5.161
O 0.567 3.933 5.750
O 2.569 3.073 5.836
C 2.701 3.727 3.047
C 2.806 3.599 1.691
N 1.793 3.103 0.983
C 0.636 2.692 1.524
C -0.398 2.182 0.512
F -1.648 2.407 0.891
F -0.148 0.862 0.321
C -0.251 2.814 -0.906
F -1.346 2.582 -1.610
F -0.152 4.167 -0.705
H -2.112 3.390 5.740
H -1.464 4.871 4.943
H -3.208 4.493 4.898
H -1.961 3.916 2.726
H -0.522 2.210 4.703
H 3.240 2.703 5.247
H 3.523 4.139 3.612
H 3.709 3.896 1.179
H 1.966 3.047 -0.013
H 0.653 2.488 -1.427
O 3.400 -3.328 5.286
P 3.233 -4.192 4.058
N 1.952 -3.331 3.264
C 0.694 -3.122 3.959
C 2.426 -2.068 2.724
N 2.745 -5.645 4.814
C 1.456 -6.271 4.635
C 3.239 -5.867 6.169
N 3.633 -5.103 2.582
C 5.075 -5.080 2.283
C 2.879 -5.020 1.340
H -0.004 -2.592 3.309
H 0.808 -2.537 4.881
H 0.209 -4.064 4.205
H 3.346 -2.219 2.147
H 2.643 -1.337 3.518
H 1.684 -1.642 2.042
H 0.696 -5.837 5.299
H 1.521 -7.339 4.861
H 1.103 -6.201 3.605
H 2.640 -5.336 6.921
H 4.270 -5.535 6.267
H 3.220 -6.934 6.401
H 5.402 -4.104 1.907
H 5.331 -5.840 1.545
H 5.648 -5.303 3.189
H 3.035 -4.081 0.795
H 1.814 -5.150 1.504
H 3.202 -5.840 0.694
O -1.126 0.052 -5.783
P -2.147 1.157 -5.937
N -3.608 0.238 -5.956
C -3.790 -0.804 -6.957
C -3.907 -0.300 -4.635
N -1.663 1.750 -7.468
C -2.485 1.719 -8.657
C -0.257 1.582 -7.815
N -3.021 2.681 -5.631
C -2.428 3.436 -4.520
C -4.471 2.804 -5.591
H -4.778 -1.252 -6.839
H -3.040 -1.601 -6.885
H -3.767 -0.395 -7.965
H -3.832 0.487 -3.874
H -3.216 -1.104 -4.353
H -4.929 -0.682 -4.601
H -2.423 0.750 -9.170
H -2.157 2.488 -9.362
H -3.532 1.934 -8.440
H -0.041 0.575 -8.195
H 0.380 1.757 -6.951
H 0.027 2.309 -8.578
H -2.648 2.970 -3.555
H -2.790 4.466 -4.502
H -1.339 3.478 -4.637
H -4.922 2.371 -4.690
H -4.938 2.354 -6.460
H -4.720 3.869 -5.613
*
```

## Properties
Orbital gap: 4.3 eV
HOMO energy: -9.68 eV
Molecular weight: 876.4 g/mol

Löwdin charges, unit e, in atom order:
1 C -0.1748
2 C -0.7317
3 I 0.8425
4 C -0.6775
5 I 0.9905
6 C -0.0857
7 C 0.0075
8 C -0.4651
9 O 0.1798
10 O 0.1716
11 C 0.0552
12 C 0.0178
13 N 0.1782
14 C -0.0191
15 C -0.4441
16 F 0.1014
17 F 0.0792
18 C -0.2945
19 F 0.1473
20 F 0.0831
21 H 0.0840
22 H 0.0722
23 H 0.0536
24 H 0.0650
25 H 0.0497
26 H 0.1219
27 H 0.1479
28 H 0.1580
29 H 0.1751
30 H 0.1722
31 O -0.3013
32 P 0.7193
33 N -0.3349
34 C -0.1392
35 C -0.1629
36 N -0.3233
37 C -0.1357
38 C -0.1367
39 N -0.2952
40 C -0.1376
41 C -0.1376
42 H 0.0207
43 H 0.0856
44 H 0.0593
45 H 0.0704
46 H 0.0744
47 H 0.0668
48 H 0.0791
49 H 0.0842
50 H 0.0732
51 H 0.0833
52 H 0.0706
53 H 0.0827
54 H 0.0740
55 H 0.0805
56 H 0.0802
57 H 0.0737
58 H 0.0703
59 H 0.0903
60 O -0.3035
61 P 0.7091
62 N -0.3410
63 C -0.1147
64 C -0.1460
65 N -0.3240
66 C -0.1356
67 C -0.1434
68 N -0.2941
69 C -0.1495
70 C -0.1336
71 H 0.0848
72 H 0.0878
73 H 0.0554
74 H 0.0675
75 H 0.0818
76 H 0.0860
77 H 0.0798
78 H 0.0827
79 H 0.0739
80 H 0.0837
81 H 0.0654
82 H 0.0809
83 H 0.0552
84 H 0.0821
85 H 0.0766
86 H 0.0761
87 H 0.0722
88 H 0.0889

***

The following is a DFT calculation (wB97M-V/def2-TZVPD) of C23H47As3N2O2PdS as an isolated structure.

Geometry as ORCA input:
```
! wB97M-V def2-TZVPD RIJCOSX def2/J DEFGRID3
* xyz 2 3
Pd 0.001 1.027 -0.082
C 1.701 4.789 -1.626
C 0.542 3.885 -1.332
O 0.637 2.650 -1.429
N -0.618 4.498 -1.045
C -1.861 3.774 -0.837
C -2.112 3.386 0.599
C -3.052 4.048 1.372
C -3.218 3.686 2.701
C -2.429 2.672 3.220
C -1.516 2.055 2.381
N -1.367 2.394 1.099
H 2.637 4.262 -1.477
H 1.680 5.681 -1.001
H 1.645 5.106 -2.668
H -0.592 5.491 -0.875
H -1.798 2.884 -1.459
H -2.683 4.385 -1.208
H -3.646 4.840 0.936
H -3.948 4.190 3.320
H -2.509 2.360 4.251
H -0.875 1.261 2.748
C -3.350 -0.655 0.468
As -2.148 -0.101 -0.963
+++

Written answer =
The following is a DFT calculation (wB97M-V/def2-TZVPD) of a 3-piece molecular cluster, C23H46F4I2N7O4P2 overall.

Geometry as ORCA input:
```
! wB97M-V def2-TZVPD RIJCOSX def2/J DEFGRID3
* xyz 1 1
C -2.205 4.079 4.904
C -2.022 3.284 3.606
I -3.872 2.169 3.340
C -0.793 2.270 3.658
I -1.250 0.210 3.235
C 0.446 2.748 2.914
C 1.522 3.299 3.654
C 1.486 3.477 5.161
O 0.567 3.933 5.750
O 2.569 3.073 5.836
C 2.701 3.727 3.047
C 2.806 3.599 1.691
N 1.793 3.103 0.983
C 0.636 2.692 1.524
C -0.398 2.182 0.512
F -1.648 2.407 0.891
F -0.148 0.862 0.321
C -0.251 2.814 -0.906
F -1.346 2.582 -1.610
F -0.152 4.167 -0.705
H -2.112 3.390 5.740
H -1.464 4.871 4.943
H -3.208 4.493 4.898
H -1.961 3.916 2.726
H -0.522 2.210 4.703
H 3.240 2.703 5.247
H 3.523 4.139 3.612
H 3.709 3.896 1.179
H 1.966 3.047 -0.013
H 0.653 2.488 -1.427
O 3.400 -3.328 5.286
P 3.233 -4.192 4.058
N 1.952 -3.331 3.264
C 0.694 -3.122 3.959
C 2.426 -2.068 2.724
N 2.745 -5.645 4.814
C 1.456 -6.271 4.635
C 3.239 -5.867 6.169
N 3.633 -5.103 2.582
C 5.075 -5.080 2.283
C 2.879 -5.020 1.340
H -0.004 -2.592 3.309
H 0.808 -2.537 4.881
H 0.209 -4.064 4.205
H 3.346 -2.219 2.147
H 2.643 -1.337 3.518
H 1.684 -1.642 2.042
H 0.696 -5.837 5.299
H 1.521 -7.339 4.861
H 1.103 -6.201 3.605
H 2.640 -5.336 6.921
H 4.270 -5.535 6.267
H 3.220 -6.934 6.401
H 5.402 -4.104 1.907
H 5.331 -5.840 1.545
H 5.648 -5.303 3.189
H 3.035 -4.081 0.795
H 1.814 -5.150 1.504
H 3.202 -5.840 0.694
O -1.126 0.052 -5.783
P -2.147 1.157 -5.937
N -3.608 0.238 -5.956
C -3.790 -0.804 -6.957
C -3.907 -0.300 -4.635
N -1.663 1.750 -7.468
C -2.485 1.719 -8.657
C -0.257 1.582 -7.815
N -3.021 2.681 -5.631
C -2.428 3.436 -4.520
C -4.471 2.804 -5.591
H -4.778 -1.252 -6.839
H -3.040 -1.601 -6.885
H -3.767 -0.395 -7.965
H -3.832 0.487 -3.874
H -3.216 -1.104 -4.353
H -4.929 -0.682 -4.601
H -2.423 0.750 -9.170
H -2.157 2.488 -9.362
H -3.532 1.934 -8.440
H -0.041 0.575 -8.195
H 0.380 1.757 -6.951
H 0.027 2.309 -8.578
H -2.648 2.970 -3.555
H -2.790 4.466 -4.502
H -1.339 3.478 -4.637
H -4.922 2.371 -4.690
H -4.938 2.354 -6.460
H -4.720 3.869 -5.613
*
```

## Properties
Orbital gap: 4.3 eV
HOMO energy: -9.68 eV
Molecular weight: 876.4 g/mol

Löwdin charges, unit e, in atom order:
1 C -0.1748
2 C -0.7317
3 I 0.8425
4 C -0.6775
5 I 0.9905
6 C -0.0857
7 C 0.0075
8 C -0.4651
9 O 0.1798
10 O 0.1716
11 C 0.0552
12 C 0.0178
13 N 0.1782
14 C -0.0191
15 C -0.4441
16 F 0.1014
17 F 0.0792
18 C -0.2945
19 F 0.1473
20 F 0.0831
21 H 0.0840
22 H 0.0722
23 H 0.0536
24 H 0.0650
25 H 0.0497
26 H 0.1219
27 H 0.1479
28 H 0.1580
29 H 0.1751
30 H 0.1722
31 O -0.3013
32 P 0.7193
33 N -0.3349
34 C -0.1392
35 C -0.1629
36 N -0.3233
37 C -0.1357
38 C -0.1367
39 N -0.2952
40 C -0.1376
41 C -0.1376
42 H 0.0207
43 H 0.0856
44 H 0.0593
45 H 0.0704
46 H 0.0744
47 H 0.0668
48 H 0.0791
49 H 0.0842
50 H 0.0732
51 H 0.0833
52 H 0.0706
53 H 0.0827
54 H 0.0740
55 H 0.0805
56 H 0.0802
57 H 0.0737
58 H 0.0703
59 H 0.0903
60 O -0.3035
61 P 0.7091
62 N -0.3410
63 C -0.1147
64 C -0.1460
65 N -0.3240
66 C -0.1356
67 C -0.1434
68 N -0.2941
69 C -0.1495
70 C -0.1336
71 H 0.0848
72 H 0.0878
73 H 0.0554
74 H 0.0675
75 H 0.0818
76 H 0.0860
77 H 0.0798
78 H 0.0827
79 H 0.0739
80 H 0.0837
81 H 0.0654
82 H 0.0809
83 H 0.0552
84 H 0.0821
85 H 0.0766
86 H 0.0761
87 H 0.0722
88 H 0.0889

***

The following is a DFT calculation (wB97M-V/def2-TZVPD) of C23H47As3N2O2PdS as an isolated structure.

Geometry as ORCA input:
```
! wB97M-V def2-TZVPD RIJCOSX def2/J DEFGRID3
* xyz 2 3
Pd 0.001 1.027 -0.082
C 1.701 4.789 -1.626
C 0.542 3.885 -1.332
O 0.637 2.650 -1.429
N -0.618 4.498 -1.045
C -1.861 3.774 -0.837
C -2.112 3.386 0.599
C -3.052 4.048 1.372
C -3.218 3.686 2.701
C -2.429 2.672 3.220
C -1.516 2.055 2.381
N -1.367 2.394 1.099
H 2.637 4.262 -1.477
H 1.680 5.681 -1.001
H 1.645 5.106 -2.668
H -0.592 5.491 -0.875
H -1.798 2.884 -1.459
H -2.683 4.385 -1.208
H -3.646 4.840 0.936
H -3.948 4.190 3.320
H -2.509 2.360 4.251
H -0.875 1.261 2.748
C -3.350 -0.655 0.468
As -2.148 -0.101 -0.963